== Request ==
Duplicate all of the data further down word for word.
== Data ==
........
VASP calculation (GGA-PBE) on a relaxed structure of LaCu6.

```
LaCu6
1.0
-5.3137 -4.7990 7.2889
3.9300 -3.1676 0.7795
3.2491 4.9452 5.6246
Cu La
24 4
Cartesian
-1.3294 -2.1060 6.8283
3.1948 -0.9153 6.8647
4.3306 -1.8754 4.6187
2.8456 2.0896 3.6741
-0.4919 -2.6512 9.4575
3.1352 -0.3888 9.4145
-1.5237 -6.4902 7.5235
-2.4651 -1.1459 9.0743
2.7261 -2.3441 2.4669
1.5926 -1.9594 10.6806
3.3892 3.4688 6.1694
0.1576 -0.4551 5.5615
-0.9802 -5.1110 10.0189
0.2729 -1.0619 3.0123
2.3573 -0.3701 4.2354
5.2991 0.0047 8.3309
-0.8607 -0.6773 11.2260
-1.5080 -4.5744 5.8106
-1.2698 -2.6325 4.2784
-3.4336 -3.0260 5.3620
3.3734 1.5530 7.8823
1.7078 -2.5662 8.1314
1.8470 1.3651 5.8938
0.0184 -4.3865 7.7991
-3.1746 -4.1472 8.3685
0.4324 0.1158 8.4615
1.4331 -3.1371 5.2314
5.0400 1.1259 5.3244
```

## Properties
Formation enthalpy at 0 K, eV per atom: -0.13
Space group: P2_1/c (14)
Total energy, eV per atom: -4.3478

---

VASP calculation (GGA-PBE) on a relaxed structure of LaCu6.

```
LaCu6
1.0
5.1550 0.0000 0.0000
0.0000 8.1205 0.0000
0.0000 0.0000 10.2260
La Cu
4 24
Cartesian
3.8663 1.9316 0.6632
1.2888 2.1286 5.7763
3.8663 5.9919 4.4498
1.2888 6.1888 9.5628
1.2888 4.5522 4.1069
3.8663 2.8660 3.6693
1.2888 1.1943 8.7823
3.8663 3.5683 6.1192
3.8663 1.4792 7.7038
1.2888 0.4920 1.0062
2.5508 3.5365 8.2799
1.2888 5.2545 6.5568
1.2888 6.6412 2.5222
0.0267 3.5365 8.2799
1.2888 2.5810 2.5908
5.1283 0.5237 3.1669
2.6042 4.5839 1.9461
0.0267 7.5968 7.0591
3.8663 4.8667 10.0640
2.6042 0.5237 3.1669
5.1283 4.5839 1.9461
3.8663 0.8064 5.2750
1.2888 3.2538 0.1620
3.8663 6.9262 1.4437
3.8663 5.5395 7.6353
2.5508 7.5968 7.0591
3.8663 7.6285 9.2199
1.2888 7.3140 4.9510
```

## Properties
Formation enthalpy at 0 K, eV per atom: -0.13
Space group: Pnma (62)
Total energy, eV per atom: -4.3474
Magnetic moment, μB/atom: 0.000

---

VASP calculation (GGA-PBE) on a relaxed structure of LaCu13.

```
LaCu13
1.0
0.0000 5.7885 5.7885
5.7885 0.0000 5.7885
5.7885 5.7885 0.0000
Cu La
26 2
Cartesian
5.7885 7.1455 9.4951
4.4316 2.0820 5.7885
5.7885 7.8706 4.4316
3.7065 7.1455 5.7885
5.7885 7.1455 2.0820
7.8706 7.1455 5.7885
3.7065 4.4316 5.7885
5.7885 7.8706 7.1455
0.0000 0.0000 0.0000
4.4316 5.7885 7.8706
9.4951 5.7885 4.4316
7.1455 5.7885 3.7065
2.0820 5.7885 7.1455
5.7885 4.4316 9.4951
5.7885 3.7065 4.4316
4.4316 5.7885 3.7065
4.4316 9.4951 5.7885
7.1455 9.4951 5.7885
7.8706 4.4316 5.7885
7.1455 5.7885 7.8706
5.7885 5.7885 5.7885
9.4951 5.7885 7.1455
5.7885 3.7065 7.1455
5.7885 4.4316 2.0820
2.0820 5.7885 4.4316
7.1455 2.0820 5.7885
8.6828 8.6828 8.6828
2.8943 2.8943 2.8943
```

## Properties
Formation enthalpy at 0 K, eV per atom: -0.07
Space group: Fm-3c (226)
Total energy, eV per atom: -4.2281

---

VASP calculation (GGA-PBE) on a relaxed structure of LaCu4.

```
LaCu4
1.0
-3.5513 8.8659 6.3416
-9.7774 4.6712 -3.7434
3.3886 -10.6956 2.3566
Cu La
36 9
Cartesian
-7.2584 2.6011 2.8300
-6.0386 2.9524 0.5081
-3.1340 -0.0643 1.3923
-8.9554 8.5883 3.9486
-1.6113 -1.9316 1.7982
-8.0558 -0.6582 -2.5208
-4.3227 6.0693 5.7389
-7.0558 3.4921 5.1457
-1.1726 -0.2333 6.4156
-4.9974 1.4024 2.4332
-7.1389 0.7088 1.3144
-4.9175 2.3012 -1.8396
-8.1358 -1.5570 1.7520
-1.7244 -3.5461 3.7649
-5.4841 -1.1771 1.8833
0.5462 -3.0380 1.4956
-6.6328 9.3914 4.9300
-5.0826 7.8342 3.8613
-4.9566 2.0834 4.8886
-7.1718 3.5752 -1.8007
-2.9622 3.9641 5.3216
-3.8028 -3.0799 2.4033
-6.8509 -1.0873 -0.3569
-10.0341 6.1842 4.1918
0.5979 -4.6806 3.5697
-7.2422 7.0435 2.7669
-8.3289 4.7731 3.1567
-6.5353 -3.2715 0.6541
-2.8931 1.6294 6.2500
-8.2462 5.7028 -1.2631
-7.1109 5.2655 0.9746
-2.8423 2.2006 3.5346
-1.1030 0.5495 2.6945
-5.0243 0.6351 0.0396
-7.0924 1.2319 -1.1724
0.4596 -4.0121 6.1263
-1.5584 -5.1840 1.2039
-9.1681 3.0549 0.4711
-9.9027 7.0008 1.2874
-3.8851 -2.3107 -0.5587
-2.7558 2.7989 0.5372
-5.0265 4.6177 3.0969
-3.3928 -0.7515 4.3215
0.0000 0.0000 0.0000
-10.5730 10.7382 2.0611
```

## Properties
Formation enthalpy at 0 K, eV per atom: -0.16
Space group: I-4m2 (119)
........
== Here it is ==
VASP calculation (GGA-PBE) on a relaxed structure of LaCu6.

```
LaCu6
1.0
-5.3137 -4.7990 7.2889
3.9300 -3.1676 0.7795
3.2491 4.9452 5.6246
Cu La
24 4
Cartesian
-1.3294 -2.1060 6.8283
3.1948 -0.9153 6.8647
4.3306 -1.8754 4.6187
2.8456 2.0896 3.6741
-0.4919 -2.6512 9.4575
3.1352 -0.3888 9.4145
-1.5237 -6.4902 7.5235
-2.4651 -1.1459 9.0743
2.7261 -2.3441 2.4669
1.5926 -1.9594 10.6806
3.3892 3.4688 6.1694
0.1576 -0.4551 5.5615
-0.9802 -5.1110 10.0189
0.2729 -1.0619 3.0123
2.3573 -0.3701 4.2354
5.2991 0.0047 8.3309
-0.8607 -0.6773 11.2260
-1.5080 -4.5744 5.8106
-1.2698 -2.6325 4.2784
-3.4336 -3.0260 5.3620
3.3734 1.5530 7.8823
1.7078 -2.5662 8.1314
1.8470 1.3651 5.8938
0.0184 -4.3865 7.7991
-3.1746 -4.1472 8.3685
0.4324 0.1158 8.4615
1.4331 -3.1371 5.2314
5.0400 1.1259 5.3244
```

## Properties
Formation enthalpy at 0 K, eV per atom: -0.13
Space group: P2_1/c (14)
Total energy, eV per atom: -4.3478

---

VASP calculation (GGA-PBE) on a relaxed structure of LaCu6.

```
LaCu6
1.0
5.1550 0.0000 0.0000
0.0000 8.1205 0.0000
0.0000 0.0000 10.2260
La Cu
4 24
Cartesian
3.8663 1.9316 0.6632
1.2888 2.1286 5.7763
3.8663 5.9919 4.4498
1.2888 6.1888 9.5628
1.2888 4.5522 4.1069
3.8663 2.8660 3.6693
1.2888 1.1943 8.7823
3.8663 3.5683 6.1192
3.8663 1.4792 7.7038
1.2888 0.4920 1.0062
2.5508 3.5365 8.2799
1.2888 5.2545 6.5568
1.2888 6.6412 2.5222
0.0267 3.5365 8.2799
1.2888 2.5810 2.5908
5.1283 0.5237 3.1669
2.6042 4.5839 1.9461
0.0267 7.5968 7.0591
3.8663 4.8667 10.0640
2.6042 0.5237 3.1669
5.1283 4.5839 1.9461
3.8663 0.8064 5.2750
1.2888 3.2538 0.1620
3.8663 6.9262 1.4437
3.8663 5.5395 7.6353
2.5508 7.5968 7.0591
3.8663 7.6285 9.2199
1.2888 7.3140 4.9510
```

## Properties
Formation enthalpy at 0 K, eV per atom: -0.13
Space group: Pnma (62)
Total energy, eV per atom: -4.3474
Magnetic moment, μB/atom: 0.000

---

VASP calculation (GGA-PBE) on a relaxed structure of LaCu13.

```
LaCu13
1.0
0.0000 5.7885 5.7885
5.7885 0.0000 5.7885
5.7885 5.7885 0.0000
Cu La
26 2
Cartesian
5.7885 7.1455 9.4951
4.4316 2.0820 5.7885
5.7885 7.8706 4.4316
3.7065 7.1455 5.7885
5.7885 7.1455 2.0820
7.8706 7.1455 5.7885
3.7065 4.4316 5.7885
5.7885 7.8706 7.1455
0.0000 0.0000 0.0000
4.4316 5.7885 7.8706
9.4951 5.7885 4.4316
7.1455 5.7885 3.7065
2.0820 5.7885 7.1455
5.7885 4.4316 9.4951
5.7885 3.7065 4.4316
4.4316 5.7885 3.7065
4.4316 9.4951 5.7885
7.1455 9.4951 5.7885
7.8706 4.4316 5.7885
7.1455 5.7885 7.8706
5.7885 5.7885 5.7885
9.4951 5.7885 7.1455
5.7885 3.7065 7.1455
5.7885 4.4316 2.0820
2.0820 5.7885 4.4316
7.1455 2.0820 5.7885
8.6828 8.6828 8.6828
2.8943 2.8943 2.8943
```

## Properties
Formation enthalpy at 0 K, eV per atom: -0.07
Space group: Fm-3c (226)
Total energy, eV per atom: -4.2281

---

VASP calculation (GGA-PBE) on a relaxed structure of LaCu4.

```
LaCu4
1.0
-3.5513 8.8659 6.3416
-9.7774 4.6712 -3.7434
3.3886 -10.6956 2.3566
Cu La
36 9
Cartesian
-7.2584 2.6011 2.8300
-6.0386 2.9524 0.5081
-3.1340 -0.0643 1.3923
-8.9554 8.5883 3.9486
-1.6113 -1.9316 1.7982
-8.0558 -0.6582 -2.5208
-4.3227 6.0693 5.7389
-7.0558 3.4921 5.1457
-1.1726 -0.2333 6.4156
-4.9974 1.4024 2.4332
-7.1389 0.7088 1.3144
-4.9175 2.3012 -1.8396
-8.1358 -1.5570 1.7520
-1.7244 -3.5461 3.7649
-5.4841 -1.1771 1.8833
0.5462 -3.0380 1.4956
-6.6328 9.3914 4.9300
-5.0826 7.8342 3.8613
-4.9566 2.0834 4.8886
-7.1718 3.5752 -1.8007
-2.9622 3.9641 5.3216
-3.8028 -3.0799 2.4033
-6.8509 -1.0873 -0.3569
-10.0341 6.1842 4.1918
0.5979 -4.6806 3.5697
-7.2422 7.0435 2.7669
-8.3289 4.7731 3.1567
-6.5353 -3.2715 0.6541
-2.8931 1.6294 6.2500
-8.2462 5.7028 -1.2631
-7.1109 5.2655 0.9746
-2.8423 2.2006 3.5346
-1.1030 0.5495 2.6945
-5.0243 0.6351 0.0396
-7.0924 1.2319 -1.1724
0.4596 -4.0121 6.1263
-1.5584 -5.1840 1.2039
-9.1681 3.0549 0.4711
-9.9027 7.0008 1.2874
-3.8851 -2.3107 -0.5587
-2.7558 2.7989 0.5372
-5.0265 4.6177 3.0969
-3.3928 -0.7515 4.3215
0.0000 0.0000 0.0000
-10.5730 10.7382 2.0611
```

## Properties
Formation enthalpy at 0 K, eV per atom: -0.16
Space group: I-4m2 (119)